Between still high levels of inflation, fast-tightening central banks, a growing energy crisis in Europe and slow growth in China, it is easy to imagine a bleak growth outlook. But these difficult dynamics also harbour opportunities often masked in exaggerated mispricing based on fear and confusion.
To be sure, the Federal Reserve (Fed) blew bubbles both in the equity and bond markets, but these bubbles have largely deflated with valuations aligned more closely with fundamentals—but not all. Still, the world is changing, and price discovery will have to consider more persistent inflation dynamics driven by deglobalisation—when a finely-tuned global supply chain enabling cheap goods necessarily has to reconfigure, offering investment opportunities but also risks in the journey to the other side.
Conventional approaches to multi-asset may expect a reversion to historical norms. However, such expectations may not survive as volatility, correlations and notions of “safe assets” shift to accommodate multi-polar dynamics requiring forward-looking and adaptive thinking to adequately seek returns, while mitigating risks that aren’t necessarily revealed in backward-looking models.
While we see unusual risks, we also see ample opportunities, chiefly in China but also more broadly. Some are geographical but others are sector and security-specific—those that harness what the world needs for the future and are also prepared to manage and navigate the difficult conditions over the journey. We aim to look forward and spend less time waiting for historical norms necessarily returning; this requires an adaptive approach to taking risk to achieve return targets while adequately protecting the downside.

While we see unusual risks, we also see ample opportunities
Adjusting to a multipolar World
Starting with US-China trade wars that began in 2018 only worsened by increasing geopolitical tensions, COVID and the Russia-Ukraine war, deglobalisation is accelerating. Supply chains are being rerouted to friendly allies with many production functions being onshored in the name of national security. This requires investment, which is good, but it also requires resources, and in some pockets a painful economic adjustment.
The impact cannot be overstated. While US consumers had feasted on inexpensive goods from China that benefited from higher real wages and Europe benefiting from cheap energy from Russia to produce goods for China and elsewhere, these symbiotic deflationary dynamics are being unwound.
Deglobalisation is inflationary, particularly for the investment required to execute the transition while accessing the necessary ingredient of commodities that is fundamentally lacking investment in the West to increase production capacity to meet the ultimate demand. In the long-term, increased investment will generate growth and improve productivity, which is disinflationary, but this will take time. Policymakers are currently behind the curve in setting policy to align with the coming this transformative shift.
In the East, the transition is likely to be easier. So far, sanctions on Russia have not had the intended result, which is that exports have failed to be notably hindered to bring Russia to heel. New alliances are being formed. China has been adjusting its economy for more than a decade, relying less on infrastructure and property investment and more on quality investment to climb the value chain as well as building consumption to generate more self-sustaining growth, less vulnerable to external shocks. Still, the journey is not complete with painful adjustments in process and likely ahead, but the direction seems more correctly aligned with the ultimate end-state required.
An extended path to lower inflation
Inflation is expected to decline in the US, due to excess inventories and outsized profits being drained, but given the new multipolar dynamic, inflation is unlikely to return to historical norms of around 2%. If there is a recession, inflation could fall quickly, but any return to “non-inflationary” growth will be difficult to achieve given the above-described multipolar dynamics.
The US is better positioned for an adjustment, in our view. Central banks will indeed continue to tighten, sopping up excess liquidity that needs to be drained. However, the world is still awash in liquidity for the massive stimulus that followed COVID. Private sector balance sheets remain quite strong, which is quite different from the credit-driven bubbles such as back in 2007-2008 which perhaps mitigates the risk of a protracted slowdown. However, policymakers will need to respond with measures to promote investment and improve productivity and not with the traditional stimulus of years past (or even now) designed to support consumption, which will be inflationary.
Europe has a more immediate need for coordinated policy to alleviate its short-term pain which includes an energy crisis that is adding to inflation. Perhaps its green energy initiatives that will work over the long-term, but in some sense Europe and the US will need to coordinate their policies to meet their collective needs, which is to ensure that near-term energy needs through increases in conventional (sometimes non-green) production capacity that mainly comes from the US, Canada and OPEC.
The China-Russia collective and those participating in trade for cheaper energy from Russia may be at less risk of inflationary pressures given the natural resources that remain relatively more abundant on their side of the new multipolar structure. The challenge for China is navigating to more balanced growth, which includes returning the property market to stability while reducing its current dependence on export demand that is likely to decline—particularly in the event of a US recession.
Higher risk premiums, volatility and shifting correlations
Through the removal of easy policy, particularly the shift from quantitative easing to tightening, central bankers are returning price discovery to the markets. This is most clearly evident in the rates market also but is also transmitting to other asset classes, such as richly priced equities.
Developed market (DM) government bonds are traditionally considered a safe asset in the sense that default rates are extremely low (partly for the ability to print money). However, inflation uncertainty is a new feature requiring risk a premium that may not be fully priced. A 3% 10-year US Treasury yield may have looked attractive over the last decade when inflation was tame, but it looks much less attractive given current inflation dynamics that are well ahead of that level sought with an uncertain path to the return to “normal” inflation.
Whether the Fed tightens too much or too little will not be known until after the fact, making DM bonds in many ways a “riskier” asset, meaning that outside of low default risk, they are prone to significantly higher volatility given the uncertainty.
Higher yields also transmit to a higher risk premium on the equity side given the rising cost of capital, which in turn means that equities priced at a high earnings multiple are risk of further derating—something witnessed acutely year to date. The trajectory of rates is likely to continue to be a key driver of the fair value of the growthy segment of the equities market; however, earnings are certainly a key risk given the anticipated slowdown.
As bond and growth equity risk premiums expand in parallel, correlations are likely to remain positive, offering less protection in a conventional multi-asset portfolio. If there is a recession, there could be opportunities in bonds, but this will be tricky depending on the Fed’s reaction function concerning whether inflation has indeed reduced (enough) to target. The greater risk is that any attempt to ease may simply reignite inflation dynamics that will force the Fed to tighten again before the economy has fully recovered—not unlike the 1970s.
In short, traditional DM duration is less a safe asset until inflation dynamics are fully resolved, which will take time. Whereas in China, inflation dynamics are far more favourable while the People’s Bank of China is adhering to orthodox monetary policies that are less prone to policy error. Other emerging market central banks also run more orthodox policies offering yield opportunities but are less defensive given their markets’ dependency on external demand, making them vulnerable to a strong dollar, a hawkish Fed and slowing global growth.

Through the removal of easy policy, particularly the shift from quantitative easing to tightening, central bankers are returning price discovery to the markets
Systemic crisis risks
A key risk is the speed at which policies are being tightened and while private sector balance sheets seem less at risk, public sector balance sheets have been ballooning. Europe in particular seems at risk of removing easy policy too quickly given the heavy degree of reliance on quantitative easing to stabilise the European Union for the last decade.
European growth is already slowing while the energy crisis is ongoing. The European Central Bank is tightening while actively trying to manage relative spreads between the core and periphery, a newly created tool that may not prove adequate to stem the flows that seek better credit quality from the periphery to the core.
Japan is also strained with keeping its policy easy against tighter policies virtually everywhere else. The yen has already massively underperformed YTD, so if policy gets significantly tighter outside of Japan’s borders, the strains could grow.
Any such systemic crisis could lead to a deflationary shock, which could interrupt the Fed’s tightening path. This may be perceived as bullish for equities over the short term if the event is deemed more exogenous to the health of the US economy. But the US is not immune from external shocks, and while any easing may ameliorate the shock, it does not solve the inflationary dynamics that will need to ultimately be solved by coherent policy.

-- Crystal structures, kept here for reference --
____________
Entry 1:
SrMg6: theoretical X-ray powder pattern (Cu Kα X-rays), based on a PBE-relaxed structure.
Intensities are scaled so that the largest is 1000.

Structure:
Lattice parameters (Å, degrees): 9.7419 6.1651 12.5380 90.00 90.00 90.00
Space group Pnma (No. 62)
Inequivalent atoms, fractional coordinates:
Sr1 0.2439 0.2500 0.0630 [4 per cell]
Mg1 0.0615 0.7500 0.0912 [4 per cell]
Mg2 0.0629 0.0092 0.3098 [8 per cell]
Mg3 0.0956 0.2500 0.5187 [4 per cell]
Mg4 0.1423 0.7500 0.8544 [4 per cell]
Mg5 0.1886 0.2500 0.7548 [4 per cell]

Most intense lines, 10° ≤ 2θ ≤ 90°, low angle first:
| d_spacing | I/Imax |
| --- | --- |
| 4.811 | 449 |
| 3.459 | 325 |
| 3.083 | 355 |
| 2.984 | 601 |
| 2.820 | 880 |
| 2.801 | 1000 |
| 2.766 | 285 |
| 2.606 | 401 |
| 2.426 | 341 |
| 2.404 | 234 |
| 2.144 | 233 |
| 1.720 | 239 |

Entry 2:
Nd2Tm6Th3: theoretical X-ray powder pattern (Cu Kα X-rays), based on a PBE-relaxed structure.
Intensities are scaled so that the largest is 1000.

Structure:
Lattice parameters (Å, degrees): 6.1381 10.6321 11.2705 90.00 90.05 90.00
Space group C2/m (No. 12)
Inequivalent atoms, fractional coordinates:
Nd1 0.0000 0.1668 0.0000 [4 per cell]
Tm1 0.1651 0.3346 0.2555 [8 per cell]
Tm2 0.1687 0.0000 0.2554 [4 per cell]
Th1 0.0000 0.1666 0.5000 [4 per cell]
Th2 0.0000 0.5000 0.5000 [2 per cell]

Most intense lines, 10° ≤ 2θ ≤ 90°, low angle first:
| d_spacing | I/Imax |
| --- | --- |
| 3.069 | 82 |
| 2.961 | 536 |
| 2.818 | 336 |
| 2.695 | 1000 |
| 2.377 | 310 |
| 1.817 | 123 |
| 1.772 | 274 |
| 1.602 | 221 |
| 1.500 | 309 |
| 1.481 | 164 |
| 1.136 | 143 |
| 1.103 | 116 |

Entry 3:
Ge2SbPd8: theoretical X-ray powder pattern (Cu Kα X-rays), based on a PBE-relaxed structure.
Intensities are scaled so that the largest is 1000.

Structure:
Lattice parameters (Å, degrees): 4.0095 7.2310 12.2073 90.00 90.00 90.00
Space group Immm (No. 71)
Inequivalent atoms, fractional coordinates:
Ge1 0.0000 0.0000 0.1800 [4 per cell]
Sb1 0.0000 0.0000 0.5000 [2 per cell]
Pd1 0.0000 0.1918 0.0000 [4 per cell]
Pd2 0.0000 0.2802 0.3344 [8 per cell]
Pd3 0.0000 0.5000 0.1459 [4 per cell]

Most intense lines, 10° ≤ 2θ ≤ 90°, low angle first:
| d_spacing | I/Imax |
| --- | --- |
| 3.040 | 88 |
| 2.365 | 137 |
| 2.302 | 163 |
| 2.241 | 1000 |
| 2.035 | 196 |
| 2.005 | 217 |
| 1.808 | 82 |
| 1.529 | 73 |
| 1.428 | 122 |
| 1.243 | 62 |
| 1.211 | 97 |
| 1.198 | 130 |

Entry 4:
Be3Cd: theoretical X-ray powder pattern (Cu Kα X-rays), based on a PBE-relaxed structure.
Intensities are scaled so that the largest is 1000.

Structure:
Lattice parameters (Å, degrees): 4.5418 4.5418 4.5418 90.00 90.00 90.00
Space group Pm-3n (No. 223)
Inequivalent atoms, fractional coordinates:
Be1 0.0000 0.2500 0.5000 [6 per cell]
Cd1 0.0000 0.0000 0.0000 [2 per cell]

Most intense lines, 10° ≤ 2θ ≤ 90°, low angle first:
| d_spacing | I/Imax |
| --- | --- |
| 3.212 | 1000 |
| 2.271 | 237 |
| 2.031 | 6 |
| 1.854 | 498 |
| 1.606 | 125 |
| 1.436 | 169 |
| 1.311 | 32 |
| 1.214 | 237 |
| 1.135 | 30 |
____________

The role of a multi-asset investor is changing, where relying on historically normal patterns of volatility and correlation may not protect a portfolio
Multi-asset adaptive approach in a multipolar world
The role of a multi-asset investor is changing, where relying on historically normal patterns of volatility and correlation may not protect a portfolio while return profiles and notions of safe assets are quickly changing. Moreover, while we seek to achieve target returns while mitigating downside, we must be cognizant of the client’s need to preserve purchasing power.
In our current construct, we see China bonds a safer asset than DM peers, insofar as taking duration risk where correlations with equities is still protective. Gold is also a protective asset particularly for systemic and geopolitical risks that are on the rise, but with headwinds from rising real yields driven by Fed tightening.
For growth, we like defensive equities that are less exposed to the European and US economic cycle. Quality companies with strong balance sheets and steady cash flow are preferred but challenging to identify at a reasonable price—though opportunities are emerging. Value assets, overall, are preferred.
Commodity-linked equities play an important role in the portfolio both as an inflation hedge as well as having strong earnings and very cheap valuations. The challenge is that they are quite volatile—particularly in the event of deemed rising recession risk or a systemic shock. Risk needs to be monitored closely.
We are most constructive on China equities given Beijing’s control over inflation (helped through alliances with Russia to access cheaper energy), orthodox policies and conventional means of lifting sustainable growth as opposed to an unsustainable credit binge. We are certainly mindful of huge policy challenges including the ongoing headwinds in the property market, but the banking system is healthy, and they are working their way through it. In other words, China is on a credible sustainable path to growth. If China gets it right, which we think it will, the reach of opportunities extends considerably.
Europe and the US have some work to do. While China has been in the process of rebalancing its economy for more than a decade, Europe, and to a lesser extent the US, need to shift from a consumption model to an investment model that will eventually ameliorate inflationary pressures. In the meantime, it will be tough to unwind unconventional policies of easy money that will take time to digest in capitalistic and risk-taking mindsets. This shift has broad implications for demand.

Commodity-linked equities play an important role in the portfolio both as an inflation hedge as well as having strong earnings and very cheap valuations